== File ==
/*
Diffraction record for PmSmThCd. The X-ray diffraction stick pattern is computed, not measured: it uses a DFT-relaxed cell (PBE, Alexandria) and λ = 1.5418 Å (Cu Kα).
Lines closer than 0.1° are merged.

Structure:
a b c (Å): 3.650 3.650 9.055
angles (deg): 90.00 90.00 90.00
Fractional coordinates of all 4 atoms:
Pm 0.000 0.000 0.000
Sm 0.000 0.000 0.467
Th 0.500 0.500 0.733
Cd 0.500 0.500 0.235

Peak list (10 most intense, 15 to 90 degrees two-theta, low angle first)
two_theta	I (rel.)
26.3	7.4
31.5	100.0
34.8	39.2
39.8	12.5
50.0	14.1
53.9	20.8
60.3	31.5
65.7	11.4
67.1	9.7
88.2	9.7

=====

Diffraction record for PmCdSn3. The X-ray diffraction stick pattern is computed, not measured: it uses a DFT-relaxed cell (PBE, Alexandria) and λ = 1.5418 Å (Cu Kα).
Lines closer than 0.1° are merged.

Structure:
a b c (Å): 13.218 6.336 6.363
angles (deg): 90.00 90.00 90.00
Fractional coordinates of all 20 atoms:
Pm 0.190 0.006 0.250
Pm 0.190 0.494 0.750
Pm 0.810 0.506 0.250
Pm 0.810 0.994 0.750
Cd 0.385 0.250 0.000
Cd 0.385 0.250 0.500
Cd 0.615 0.750 0.000
Cd 0.615 0.750 0.500
Sn 0.000 0.250 0.000
Sn 0.000 0.250 0.500
Sn 0.000 0.750 0.000
Sn 0.000 0.750 0.500
Sn 0.228 0.511 0.250
Sn 0.228 0.989 0.750
Sn 0.420 0.697 0.750
Sn 0.420 0.803 0.250
Sn 0.580 0.197 0.750
Sn 0.580 0.303 0.250
Sn 0.772 0.011 0.250
Sn 0.772 0.489 0.750

Peak list (10 most intense, 15 to 90 degrees two-theta, low angle first)
two_theta	I (rel.)
31.2	52.3
31.3	100.0
32.2	26.1
33.9	70.8
34.3	46.5
34.8	64.6
34.9	59.4
37.7	30.6
40.2	50.8
53.6	34.7

=====

Diffraction record for Pm2Cd3Sn. The X-ray diffraction stick pattern is computed, not measured: it uses a DFT-relaxed cell (PBE, Alexandria) and λ = 1.5418 Å (Cu Kα).
Lines closer than 0.1° are merged.

Structure:
a b c (Å): 9.911 9.338 6.182
angles (deg): 76.38 66.30 37.32
Fractional coordinates of all 12 atoms:
Pm 0.247 0.753 0.753
Pm 0.250 0.250 0.250
Pm 0.750 0.750 0.750
Pm 0.753 0.247 0.247
Cd 0.165 0.165 0.835
Cd 0.167 0.669 0.331
Cd 0.331 0.833 0.167
Cd 0.669 0.167 0.833
Cd 0.833 0.331 0.669
Cd 0.835 0.835 0.165
Sn 0.334 0.334 0.666
Sn 0.666 0.666 0.334

Peak list (10 most intense, 15 to 90 degrees two-theta, low angle first)
two_theta	I (rel.)
32.0	100.0
36.2	74.4
49.1	29.9
49.4	10.1
62.5	28.7
62.8	29.2
65.2	8.7
81.5	6.8
85.7	8.1
86.0	12.5

=====

Diffraction record for Pm5CdSn8. The X-ray diffraction stick pattern is computed, not measured: it uses a DFT-relaxed cell (PBE, Alexandria) and λ = 1.5418 Å (Cu Kα).
Lines closer than 0.1° are merged.

Structure:
a b c (Å): 8.104 8.104 8.104
angles (deg): 107.15 107.15 114.23
Fractional coordinates of all 14 atoms:
Pm 0.000 0.000 0.000
Pm 0.252 0.652 0.165
Pm 0.348 0.513 0.600
Pm 0.487 0.087 0.835
Pm 0.913 0.748 0.400
Cd 0.750 0.250 0.500
Sn 0.102 0.689 0.776
Sn 0.142 0.243 0.779
Sn 0.311 0.087 0.413
Sn 0.464 0.363 0.221
Sn 0.637 0.858 0.101
Sn 0.674 0.898 0.587
Sn 0.757 0.536 0.899
Sn 0.913 0.326 0.224

Peak list (10 most intense, 15 to 90 degrees two-theta, low angle first)
two_theta	I (rel.)
29.3	100.0
29.6	85.7
31.9	65.2
35.1	60.1
35.9	69.4
37.1	77.8
47.0	35.0
59.3	23.0
60.9	21.9
72.8	24.3

=====

Diffraction record for SrPmCd. The X-ray diffraction stick pattern is computed, not measured: it uses a DFT-relaxed cell (PBE, Alexandria) and λ = 1.5418 Å (Cu Kα).
Lines closer than 0.1° are merged.

Structure:
a b c (Å): 14.495 14.495 14.495
angles (deg): 164.51 164.51 21.98
Fractional coordinates of all 6 atoms:
Sr 0.071 0.071 0.000
Sr 0.929 0.929 0.000
Pm 0.208 0.208 0.000
Pm 0.792 0.792 0.000
Cd 0.355 0.355 0.000
Cd 0.645 0.645 0.000

Peak list (10 most intense, 15 to 90 degrees two-theta, low angle first)
two_theta	I (rel.)
27.7	13.2
31.8	100.0
32.4	48.9
33.0	7.7
44.6	8.8
46.5	17.7
56.2	17.5
57.4	36.2
66.4	10.5
77.2	7.8

=====

Diffraction record for Tb5Pm4Cd. The X-ray diffraction stick pattern is computed, not measured: it uses a DFT-relaxed cell (PBE, Alexandria) and λ = 1.5418 Å (Cu Kα).
Lines closer than 0.1° are merged.

Structure:
a b c (Å): 3.603 4.929 17.810
*/

== Assignment ==
Filter the data earlier on: keep the lines with the word "Th".

== Reply ==
Th 0.500 0.500 0.733